German Constitutional Court: Climate Change Act is Partially Unconstitutional
Crystal structures, as found in the file:
+++
No. 1
For Hf4Fe4Ge7, a crystal structure in OQMD, relaxed with PBE gives the calculated XRD peak list in this record (Cu Kα X-rays).
Neutral-atom scattering factors, no anomalous dispersion.

Largest 10 diffraction maxima, sorted by position, 5 to 70 degrees two-theta:
| two_theta | I (rel.) |
| --- | --- |
| 9.37 | 10 |
| 29.73 | 10 |
| 34.88 | 18 |
| 37.98 | 100 |
| 38.15 | 15 |
| 40.56 | 20 |
| 41.09 | 37 |
| 56.77 | 8 |
| 64.32 | 11 |
| 64.60 | 21 |

Structural model:
Cell lengths 9.781, 9.781, 9.781 Å; angles 93.97, 93.97, 149.50 degrees
Positions (direct):
Hf  0.000  0.195  0.195
Hf  0.000  0.805  0.805
Hf  0.195  0.000  0.195
Hf  0.361  0.361  0.722
Hf  0.361  0.639  0.000
Hf  0.639  0.361  0.000
Hf  0.639  0.639  0.278
Hf  0.805  0.000  0.805
Fe  0.101  0.601  0.202
Fe  0.101  0.899  0.500
Fe  0.399  0.601  0.500
Fe  0.399  0.899  0.798
Fe  0.601  0.101  0.202
Fe  0.601  0.399  0.500
Fe  0.899  0.101  0.500
Fe  0.899  0.399  0.798
Ge  0.000  0.406  0.406
Ge  0.000  0.594  0.594
Ge  0.206  0.206  0.412
Ge  0.206  0.794  0.000
Ge  0.211  0.500  0.711
Ge  0.251  0.251  0.000
Ge  0.406  0.000  0.406
Ge  0.500  0.211  0.711
Ge  0.500  0.789  0.289
Ge  0.594  0.000  0.594
Ge  0.749  0.749  0.000
Ge  0.789  0.500  0.289
Ge  0.794  0.206  0.000
Ge  0.794  0.794  0.588

---

No. 2
For Hf2ZrFe4Ge4, a crystal structure in OQMD, relaxed with PBE gives the calculated XRD peak list in this record (Cu Kα X-rays).
Neutral-atom scattering factors, no anomalous dispersion.

Largest 10 diffraction maxima, sorted by position, 5 to 70 degrees two-theta:
| two_theta | I (rel.) |
| --- | --- |
| 14.90 | 22 |
| 26.60 | 20 |
| 36.11 | 97 |
| 37.31 | 30 |
| 38.70 | 100 |
| 41.34 | 19 |
| 42.00 | 21 |
| 45.78 | 26 |
| 46.86 | 34 |
| 67.59 | 16 |

Structural model:
Cell lengths 7.529, 7.529, 7.529 Å; angles 150.16, 127.17, 61.86 degrees
Positions (direct):
Hf  0.127  0.127  0.000
Hf  0.873  0.873  0.000
Zr  0.500  0.000  0.500
Fe  0.126  0.321  0.805
Fe  0.484  0.679  0.805
Fe  0.516  0.321  0.195
Fe  0.874  0.679  0.195
Ge  0.199  0.500  0.699
Ge  0.282  0.782  0.500
Ge  0.718  0.218  0.500
Ge  0.801  0.500  0.301

---

No. 3
For HoFe4Ge2, a crystal structure in OQMD, relaxed with PBE gives the calculated XRD peak list in this record (Cu Kα X-rays).
Neutral-atom scattering factors, no anomalous dispersion.

Largest 10 diffraction maxima, sorted by position, 5 to 70 degrees two-theta:
| two_theta | I (rel.) |
| --- | --- |
| 25.70 | 24 |
| 35.00 | 57 |
| 35.92 | 38 |
| 36.93 | 100 |
| 37.94 | 54 |
| 41.95 | 31 |
| 42.45 | 33 |
| 44.56 | 53 |
| 48.39 | 40 |
| 59.93 | 27 |

Structural model:
Cell lengths 6.627, 7.618, 4.066 Å; angles 90.00, 90.00, 90.00 degrees
Positions (direct):
Ho  0.000  0.000  0.000
Ho  0.500  0.500  0.500
Fe  0.064  0.351  0.500
Fe  0.140  0.622  0.000
Fe  0.360  0.122  0.500
Fe  0.436  0.851  0.000
Fe  0.564  0.149  0.000
Fe  0.640  0.878  0.500
Fe  0.860  0.378  0.000
Fe  0.936  0.649  0.500
Ge  0.245  0.814  0.500
Ge  0.255  0.314  0.000
+++
Lawmakers must amend the German Climate Change Act to protect fundamental rights of future generations.
In a ruling announced on April 29, 2021, the German Federal Constitutional Court ("Court") delivered a groundbreaking decision on national climate change legislation. The Court instructed the German legislator to revise the Federal Climate Change Act ("FCCA") by the end of 2022. The Court considered the current version of the FCCA partially unconstitutional because it did not specify greenhouse gas ("GHG") emission reduction targets beyond the year 2030. This decision will affect various sectors, such as transportation, energy, manufacturing, construction, agriculture, and waste management.
# The page is interrupted by crystal structures
'''
# Cs2ZnF3
Computed powder XRD pattern, Cu Kα. Input: the PBE geometry in Alexandria.
Peak positions follow from Bragg's law for the DFT cell and can differ from measured ones.

Structure:
```
data_Cs2ZnF3
_cell_length_a 12.3846
_cell_length_b 6.1814
_cell_length_c 7.7514
_cell_angle_alpha 90.00
_cell_angle_beta 107.96
_cell_angle_gamma 90.00
_space_group_name_H-M_alt 'C 1 2/c 1'
_space_group_IT_number 15
loop_
_space_group_symop_operation_xyz
'x,y,z'
'-x,-y,-z'
'-x,y,-z+1/2'
'x,-y,z+1/2'
'x+1/2,y+1/2,z'
'-x+1/2,-y+1/2,-z'
'-x+1/2,y+1/2,-z+1/2'
'x+1/2,-y+1/2,z+1/2'
loop_
_atom_site_label
_atom_site_type_symbol
_atom_site_fract_x
_atom_site_fract_y
_atom_site_fract_z
Cs1 Cs 0.1662 0.0033 0.0839
Zn1 Zn 0.0000 0.4933 0.7500
F1 F 0.0000 0.1648 0.7500
F2 F 0.1300 0.4974 0.5653
```

Principal peaks in the range 2θ from 15° to 90°, by angle:
index	2θ (°)	Rel. int.
3 1 0	26.90	100
1 1 -2	27.16	91
0 2 0	28.89	65
2 0 2	32.38	54
4 0 -2	32.54	53
2 2 2	43.94	38
4 2 -2	44.06	38
3 3 0	49.99	22

# NpAg3I9
Computed powder XRD pattern, Cu Kα. Input: the PBE geometry in Alexandria.
Peak positions follow from Bragg's law for the DFT cell and can differ from measured ones.

Structure:
```
data_NpAg3I9
_cell_length_a 22.9305
_cell_length_b 8.5359
_cell_length_c 14.4052
_cell_angle_alpha 90.00
_cell_angle_beta 124.89
_cell_angle_gamma 90.00
_space_group_name_H-M_alt 'C 1 c 1'
_space_group_IT_number 9
loop_
_space_group_symop_operation_xyz
'x,y,z'
'x,-y,z+1/2'
'x+1/2,y+1/2,z'
'x+1/2,-y+1/2,z+1/2'
loop_
_atom_site_label
_atom_site_type_symbol
_atom_site_fract_x
_atom_site_fract_y
_atom_site_fract_z
Np1 Np 0.0000 0.2407 0.0000
Ag1 Ag 0.0426 0.2481 0.6666
Ag2 Ag 0.2540 0.1164 0.7388
Ag3 Ag 0.4396 0.4206 0.7712
I1 I 0.0361 0.2365 0.2377
I2 I 0.0765 0.4555 0.5481
I3 I 0.1343 0.0820 0.0654
I4 I 0.1864 0.1757 0.8483
I5 I 0.2393 0.4648 0.9814
I6 I 0.3055 0.2513 0.6233
I7 I 0.3618 0.0979 0.4105
I8 I 0.4306 0.4205 0.9628
I9 I 0.4551 0.2482 0.2517
```

Principal peaks in the range 2θ from 15° to 90°, by angle:
index	2θ (°)	Rel. int.
1 1 1	15.05	100
5 1 -2	22.07	50
5 1 -1	22.80	39
2 2 1	25.76	90
2 0 -4	25.91	92
3 3 -1	33.63	44
7 1 -5	34.88	47
5 3 -1	37.72	53

# Mg6MnBi
Computed powder XRD pattern, Cu Kα. Input: the PBE geometry in Alexandria.
Peak positions follow from Bragg's law for the DFT cell and can differ from measured ones.

Structure:
```
data_Mg6MnBi
_cell_length_a 5.0415
_cell_length_b 6.3859
_cell_length_c 11.1441
_cell_angle_alpha 90.00
_cell_angle_beta 90.00
_cell_angle_gamma 90.00
_space_group_name_H-M_alt 'A m m 2'
_space_group_IT_number 38
loop_
_space_group_symop_operation_xyz
'x,y,z'
'-x,-y,z'
'-x,y,z'
'x,-y,z'
'x,y+1/2,z+1/2'
'-x,-y+1/2,z+1/2'
'-x,y+1/2,z+1/2'
'x,-y+1/2,z+1/2'
loop_
_atom_site_label
_atom_site_type_symbol
_atom_site_fract_x
_atom_site_fract_y
_atom_site_fract_z
Mg1 Mg 0.0000 0.0000 0.0000
Mg2 Mg 0.0000 0.0000 0.4865
Mg3 Mg 0.0000 0.2323 0.2407
Mg4 Mg 0.5000 0.2473 0.5752
Mn1 Mn 0.5000 0.0000 0.3264
Bi1 Bi 0.5000 0.0000 0.8269
```
'''
The objective of the FCCA is to meet national and international climate protection targets. It is based on the nation's commitment under the Paris Agreement and the goal to achieve GHG neutrality by 2050. The FCCA prescribes legally binding climate targets with annually decreasing GHG budgets for certain sectors that are relevant to climate change.
Shortly after the FCCA entered into force, several individuals and NGOs filed constitutional complaints. Above all, the complainants argued that Germany has not put in place sufficient regulations to reduce GHG as soon as possible. They claimed that this failure would be a violation of the constitutional duty to protect fundamental rights against the risks of climate change, especially impacting young and future generations.
The Court dismissed the complainant's argument that the FCCA was per se insufficient to protect fundamental rights. However, the Court held that it was unconstitutional to regulate national climate targets and the annual emission amounts only with effect until 2030. The Court argued in particular that the challenged provisions violate the fundamental rights of the (mostly young) complainants, as the provisions irreversibly offload major emission reduction burdens onto periods after 2030. This is the case because, the Court went on, virtually every constitutional freedom is potentially affected by future emission reduction obligations. As almost all areas of human life are still associated with the emission of GHG, there is a risk of drastic implications after 2030 that will hit the younger generation disproportionately hard. The Court therefore instructed the legislator to adopt adequate safeguards to mitigate such risks of disproportionate fundamental rights infringements in the post-2030 era.
Between two parts of the piece: calculated crystals
- - -
Entry 1:
SrCdPbO4: calculated powder X-ray diffraction pattern (a wavelength of 1.5418 Å), based on the GGA-PBE geometry in Alexandria.

Main lines, in order of rising 2θ (2θ = 10–90°):
15.57 deg, I = 89
29.90 deg, I = 75
30.24 deg, I = 47
30.45 deg, I = 100
31.71 deg, I = 46
52.58 deg, I = 64

Atomic structure:
```
SrCdPbO4
1.0
-3.4276 3.4689 4.9716
3.4276 -3.4689 4.9716
3.4276 3.4689 -4.9716
Sr Cd Pb O
2 2 2 8
direct
0.3649 0.1149 0.2500 Sr
0.6351 0.8851 0.7500 Sr
0.0000 0.5000 0.5000 Cd
0.5000 0.5000 0.0000 Cd
0.0000 0.0000 0.5000 Pb
0.0000 0.5000 0.0000 Pb
0.2104 0.7446 0.4659 O
0.2183 0.2409 0.5225 O
0.2183 0.6958 0.9775 O
0.2213 0.2554 0.9659 O
0.7787 0.7446 0.0341 O
0.7817 0.3042 0.0225 O
0.7817 0.7591 0.4775 O
0.7896 0.2554 0.5341 O
```


Entry 2:
Rb2Sm2RuO6: calculated powder X-ray diffraction pattern (a wavelength of 1.5418 Å), based on the GGA-PBE geometry in Alexandria.

Main lines, in order of rising 2θ (2θ = 10–90°):
13.27 deg, I = 100
26.72 deg, I = 66
31.02 deg, I = 38
31.79 deg, I = 71
35.03 deg, I = 99
35.68 deg, I = 47

Atomic structure:
```
Rb2Sm2RuO6
1.0
2.9784 -5.0926 0.0000
2.9784 5.0926 0.0000
-1.7338 0.0000 6.6715
Rb Sm Ru O
2 2 1 6
direct
0.1624 0.8376 0.0000 Rb
0.8376 0.1624 0.0000 Rb
0.3335 0.6665 0.5000 Sm
0.6665 0.3335 0.5000 Sm
0.0000 0.0000 0.5000 Ru
0.0473 0.3556 0.6667 O
0.2388 0.2388 0.3355 O
0.3556 0.0473 0.6667 O
0.6444 0.9527 0.3333 O
0.7612 0.7612 0.6645 O
0.9527 0.6444 0.3333 O
```


Entry 3:
Be15Nb2Ni2: calculated powder X-ray diffraction pattern (a wavelength of 1.5418 Å), based on the GGA-PBE geometry in Alexandria.

Main lines, in order of rising 2θ (2θ = 10–90°):
23.89 deg, I = 100
35.83 deg, I = 27
42.01 deg, I = 30
43.52 deg, I = 19
48.90 deg, I = 22
50.25 deg, I = 24

Atomic structure:
```
Be15Nb2Ni2
1.0
3.7251 2.1507 3.6265
-3.7251 2.1507 3.6265
0.0000 -4.3014 3.6265
Be Nb Ni
15 2 2
direct
0.0000 0.0000 0.5000 Be
0.0000 0.2876 0.7124 Be
0.0000 0.5000 0.0000 Be
0.0000 0.7124 0.2876 Be
0.1596 0.6537 0.6537 Be
0.2876 0.0000 0.7124 Be
0.2876 0.7124 0.0000 Be
0.3463 0.3463 0.8404 Be
0.3463 0.8404 0.3463 Be
0.5000 0.0000 0.0000 Be
0.6537 0.1596 0.6537 Be
0.6537 0.6537 0.1596 Be
0.7124 0.0000 0.2876 Be
0.7124 0.2876 0.0000 Be
0.8404 0.3463 0.3463 Be
0.3463 0.3463 0.3463 Nb
0.6537 0.6537 0.6537 Nb
0.1076 0.1076 0.1076 Ni
0.8924 0.8924 0.8924 Ni
```


Entry 4:
MnFe2Co2: calculated powder X-ray diffraction pattern (a wavelength of 1.5418 Å), based on the GGA-PBE geometry in Alexandria.

Main lines, in order of rising 2θ (2θ = 10–90°):
25.88 deg, I = 24
32.18 deg, I = 22
45.64 deg, I = 100
46.65 deg, I = 98
67.32 deg, I = 29
85.13 deg, I = 29

Atomic structure:
```
MnFe2Co2
1.0
3.9757 0.0000 0.0000
-1.9879 3.4431 0.0000
0.0000 0.0000 4.7212
Mn Fe Co
1 2 2
direct
0.0000 0.0000 0.0000 Mn
0.3333 0.6667 0.1699 Fe
0.6667 0.3333 0.8301 Fe
0.3333 0.6667 0.6633 Co
0.6667 0.3333 0.3367 Co
```


Entry 5:
- - -
This ruling joins a number of similar successful climate protection lawsuits, for example against France and the Netherlands.